Unit of Immunology and Chronic Disease

Cardiovascular disease is one of the leading causes of death in the Western world and is mainly caused by atherosclerosis. Atherosclerosis is a chronic inflammatory process. Lipids stored in the blood vessel wall form so-called atherosclerotic plaques. The inflammation may lead to plaque ruptures and formation of a blood clot thrombosis-, which stops the blood flow. Clinical manifestations of atherosclerosis/thrombosis are myocardial infarction, stroke or claudications.

We study how different types of lipids, mainly phospholipids, activate immune reactions and how these affect atherosclerosis, cardiovascular disease and inflammation in general. Our translational research is both experimental and clinically oriented.

Our research focuses om protective role and mechanisms of the natural, innate antibodies against oxidation-related epitopes on phospholipids; such as phosphorylcholine (PC) and others. To identify effects of antibodies is a major challenge. Antibodies can both protect and damage and it is a balancing act to use the right antibodies in the right quantity and in the right context. Such antibodies may have prognostic and diagnostic significance, where low levels signify an increased risk of cardiovascular disease. Novel immunomodulatory therapies using protective natural antibodies can be potentially useful.

Overall aims

Our overall aims are to:

  • improve risk assessment for cardiovascular disease and thereby optimize treatment
  • study the causes of the inflammation linked to atherosclerosis/atherothrombosis
  • develop new immunological treatments conteracting unwanted inflammation


Projects Johan Frostegård

Natural antibodies

A recent discovery is that antibodies against lipid antigens, especially phosphorylcholine (anti-PC) share genetic background with chronic lymphatic leukemia (CLL) and are protection markers for CLL. Ongoing collaboration with Twin Registry and also Monica Studies in Umeå will now include also CLL and some common cancer types.


  • Swedish Heart Lung Foundation 

Someone pasted records of crystals at this point:
~~~
Entry 1:
# Ba3Ge4 (PBE, optimized geometry)
# - ΔE_f (meV/atom) = -570
# - E_tot (eV per atom) = -4.034
data_Ba3Ge4
_space_group_name_H-M_alt 'C m m m'
_space_group_IT_number 65
_space_group_name_Hall '-C 2 2'
_cell_length_a 11.931
_cell_length_b 12.342
_cell_length_c 12.272
_cell_angle_alpha 90.00
_cell_angle_beta 90.00
_cell_angle_gamma 90.00
loop_
_atom_site_label
_atom_site_type_symbol
_atom_site_fract_x
_atom_site_fract_y
_atom_site_fract_z
_atom_site_occupancy
Ba1 Ba 0.000 0.000 0.161 1
Ba2 Ba 0.000 0.159 0.500 1
Ba3 Ba 0.000 0.500 0.325 1
Ba4 Ba 0.163 0.500 0.000 1
Ba5 Ba 0.250 0.250 0.255 1
Ge1 Ge 0.000 0.295 0.138 1
Ge2 Ge 0.138 0.202 0.000 1
Ge3 Ge 0.195 0.394 0.500 1
Ge4 Ge 0.197 0.000 0.350 1

=====

Entry 2:
# CdInPd2 (PBE, optimized geometry)
# - ΔE_f (meV/atom) = -473
# - E_tot (eV per atom) = -3.982
data_CdInPd2
_space_group_name_H-M_alt 'F m -3 m'
_space_group_IT_number 225
_space_group_name_Hall '-F 4 2 3'
_cell_length_a 6.581
_cell_length_b 6.581
_cell_length_c 6.581
_cell_angle_alpha 90.00
_cell_angle_beta 90.00
_cell_angle_gamma 90.00
loop_
_atom_site_label
_atom_site_type_symbol
_atom_site_fract_x
_atom_site_fract_y
_atom_site_fract_z
_atom_site_occupancy
Cd1 Cd 0.000 0.000 0.000 1
In1 In 0.000 0.000 0.500 1
Pd1 Pd 0.250 0.250 0.250 1

----------

Record 1
Material: NdSe2
Method: DFT, meta-GGA r2SCAN
State: relaxed

a b c (Å): 4.157 4.157 8.593
angles (deg): 90.00 90.00 90.00
Fractional positions:
Nd 0.750 0.750 0.726
Nd 0.250 0.250 0.274
Se 0.750 0.250 0.000
Se 0.250 0.750 0.000
Se 0.750 0.750 0.368
Se 0.250 0.250 0.632

Output
- DFT total energy: -21.205 eV per atom
- Density: 6.8 g cm⁻³



Record 2
Material: LiV3O4
Method: DFT, meta-GGA r2SCAN
State: relaxed

a b c (Å): 5.198 5.736 5.909
angles (deg): 119.06 74.88 90.02
Fractional positions:
Li 0.999 0.000 0.500
Li 0.001 0.501 0.500
V 0.000 0.000 0.000
V 0.499 0.250 0.498
V 0.501 0.752 0.502
V 0.500 0.779 0.000
V 0.500 0.217 0.000
V 0.000 0.501 0.000
O 0.724 0.385 0.773
O 0.768 0.867 0.734
O 0.276 0.612 0.227
O 0.232 0.133 0.266
O 0.254 0.127 0.753
O 0.249 0.626 0.750
O 0.751 0.876 0.250
O 0.746 0.374 0.247

Output
- DFT total energy: -10.930 eV per atom
- Density: 5.1 g cm⁻³
- Offset from the most stable computed form: 44 meV/atom



Record 3
Material: GdDyZn2
Method: DFT, meta-GGA r2SCAN
State: relaxed

a b c (Å): 5.040 5.040 5.040
angles (deg): 60.00 60.00 60.00
Fractional positions:
Gd 0.000 0.000 0.000
Dy 0.500 0.500 0.500
Zn 0.250 0.250 0.250
Zn 0.750 0.750 0.750

Output
- DFT total energy: -23.661 eV per atom
- Density: 8.3 g cm⁻³



Record 4
Material: Tb6Ta4Al43
Method: DFT, meta-GGA r2SCAN
State: relaxed

a b c (Å): 11.032 11.032 17.784
angles (deg): 90.00 90.00 120.00
Fractional positions:
Tb 0.531 0.000 0.596
Tb 0.469 0.000 0.404
Tb 0.000 0.531 0.596
Tb 0.469 0.000 0.096
Tb 0.000 0.531 0.904
Tb 0.000 0.469 0.404
Tb 0.531 0.000 0.904
Tb 0.000 0.469 0.096
Tb 0.469 0.469 0.596
Tb 0.531 0.531 0.404
Tb 0.531 0.531 0.096
Tb 0.469 0.469 0.904
Ta 0.000 0.000 0.500
~~~
Back to the page:

Natural antibodies against lipid antigens as phosphorylcholine (PC) and malondialdehyde (MDA)

Our group discovered novel protection markers in cardiovascular disease, including anti-PC and anti-MDA, especially IgMs. This concept is now explored in larger cohorts, in SLE prospectively.


  • The Swedish Heart and Lung Foundation
  • The Swedish Rheumatic Foundation
  • Gustav V 80 year fund, EU (IMI)

Explorative research to identify novel therapies

We have discovered two potential therapies against Cardiovascular disease, both targeting lipid epitopes (and not peptide/protein epitopes) namely Annexin A5 and natural antibodies, anti-PC and anti-MDA. These are now in different stages of clinical development, and one is tested in patients. Hopefully we can develop a concept of vaccine against cardiovascular and inflammatory diseases.


  • EU grants
  • Swedish Heart Lung foundation
  • RMR
  • Gustav V 80 year fund

• Materials data from another source follow:
____________
Entry 1:
Compound: NaAl3Tl2Si3O12
Source: Materials Project
Functional: PBE
Structure: optimized geometry

Results
Total magnetic moment ... 0.0000 μB/atom
Crystal system ... tetragonal
E_tot ... -580.42 eV/cell

a b c (Å): 12.551 12.551 12.420
angles (deg): 90.00 90.00 90.00
Fractional positions:
O 0.893 0.107 0.356
O 0.000 0.275 0.287
O 0.500 0.227 0.006
O 0.500 0.000 0.757
Al 0.000 0.625 0.821
Na 0.000 0.609 0.568
O 0.343 0.121 0.111
Si 0.189 0.374 0.003
O 0.294 0.000 0.709
Al 0.375 0.000 0.821
Al 0.000 0.371 0.183
O 0.121 0.343 0.111
O 0.232 0.000 0.495
O 0.000 0.294 0.709
O 0.500 0.773 0.006
Al 0.181 0.000 0.631
Al 0.819 0.000 0.631
O 0.650 0.881 0.895
O 0.119 0.881 0.654
O 0.881 0.350 0.895
O 0.000 0.706 0.709
Tl 0.749 0.749 0.247
Al 0.000 0.375 0.821
Al 0.629 0.000 0.183
O 0.000 0.500 0.232
Si 0.819 0.000 0.374
O 0.343 0.879 0.111
Tl 0.755 0.755 0.745
O 0.893 0.893 0.356
O 0.700 0.300 0.003
O 0.107 0.893 0.356
Si 0.626 0.189 0.003
O 0.881 0.650 0.895
O 0.000 0.725 0.287
O 0.650 0.119 0.895
O 0.879 0.657 0.111
Tl 0.755 0.245 0.745
Al 0.625 0.000 0.821
O 0.119 0.650 0.895
Si 0.811 0.374 0.003
O 0.500 0.000 0.232
O 0.107 0.107 0.356
O 0.879 0.343 0.111
Si 0.000 0.181 0.374
O 0.227 0.500 0.006
O 0.350 0.881 0.895
Si 0.000 0.819 0.374
Si 0.811 0.626 0.003
O 0.768 0.000 0.495
O 0.881 0.119 0.654
O 0.773 0.500 0.006
Tl 0.245 0.755 0.745
O 0.300 0.300 0.003
Na 0.391 0.000 0.568
Al 0.371 0.000 0.183
Tl 0.251 0.749 0.247
O 0.119 0.119 0.654
Al 0.000 0.629 0.183
Si 0.181 0.000 0.374
Si 0.374 0.189 0.003
O 0.700 0.700 0.003
Tl 0.251 0.251 0.247
O 0.119 0.350 0.895
O 0.725 0.000 0.287
O 0.121 0.657 0.111
O 0.000 0.500 0.757
Tl 0.245 0.245 0.745
Al 0.000 0.181 0.631
O 0.657 0.879 0.111
Na 0.609 0.000 0.568
O 0.706 0.000 0.709
O 0.657 0.121 0.111
Al 0.000 0.819 0.631
Na 0.000 0.391 0.568
O 0.000 0.768 0.495
O 0.300 0.700 0.003
O 0.275 0.000 0.287
Si 0.374 0.811 0.003
Si 0.189 0.626 0.003
O 0.881 0.881 0.654
Tl 0.749 0.251 0.247
O 0.350 0.119 0.895
O 0.000 0.232 0.495
Si 0.626 0.811 0.003



Entry 2:
Compound: NaTi3AlO8
Source: Materials Project
Functional: PBE
Structure: optimized geometry

Results
Total magnetic moment ... 0.0000 μB/atom
Crystal system ... monoclinic
E_tot ... -106.10 eV/cell

a b c (Å): 3.800 6.403 6.510
angles (deg): 107.37 90.00 72.74
Fractional positions:
Al 0.703 0.595 0.696
O 0.443 0.114 0.367
O 0.556 0.888 0.645
O 0.858 0.283 0.711
O 0.371 0.259 0.014
Ti 0.398 0.204 0.704
Ti 0.604 0.791 0.281
O 0.631 0.738 0.993
Ti 0.297 0.406 0.302
O 0.231 0.538 0.655
O 0.764 0.472 0.359
Na 0.007 0.986 0.982
O 0.137 0.726 0.292



Entry 3:
Compound: Na3AlP2
Source: Materials Project
Functional: PBE
Structure: optimized geometry

Results
Crystal system ... orthorhombic
E_tot ... -43.21 eV/cell

a b c (Å): 8.048 8.048 8.048
angles (deg): 135.76 129.76 69.14
Fractional positions:
Na 0.500 0.750 0.250
Na 0.991 0.808 0.183
P 0.298 0.101 0.197
Na 0.500 0.250 0.750
Al 0.000 0.750 0.750
Na 0.009 0.192 0.817
Al 0.000 0.250 0.250
P 0.702 0.899 0.803
____________

Risk markers, outcome and underlying mechanisms in SLE

Through the SLEVIC cohort (JF is PI) we combine a unique cohort with patients from southern Stockholm (Huddinge area) with matched controls (age, sex and population). This cohort (SLEVIC) has now been followed up after 6 years, with detailed vascular and clinical measurements. We have discovered that natural lipid antibodies, especially against phosphorylcholine and malondialdehyde (anti-PC and anti-MDA) are strong protection markers, and have identified underlying mechanisms by which they may be directly involved in the disease.


  • The Swedish Rheumatic Foundation
  • Gustav V 80 year fund
  • EU (IMI)

Risk markers, outcome and underlying mechaninsms in RA

Through collaborations, especially with Ingiäld Hafström, we study RA in large cohorts of high quality such as Barfot. We have identified anti-PC as a potential mechanism and marker for being non-responsive to biologics. Antibodies against other lipid moieties are also studied.


  • The Swedish Rheumatic Foundation
  • Gustav V 80 year fund
  • EU (IMI)

Explorative research to identify novel therapies

We have discovered two potential therapies against Inflammatory disease (where cardiovascular diseases actually are including. These are both targeting lipid epitopes (and not peptide/protein epitopes) namely Annexin A5 and natural antibodies, anti-PC and anti-MDA which are tested clinically in cardiovascular disease but also hopefully apply to inflammatory diseases as SLE and RA which will be investigated. Also a vaccine against these lipids can hopefully be studied further.


  • The Swedish Heart and Lung Foundation
  • The Swedish Rheumatic Foundation
  • Gustav V 80 year fund
  • EU (IMI)

Risk markers, outcome and potential mechanisms and treatment in COPD

Through a study, AHLDI, we perform at Emergency Medicine in Huddinge, we study various risk markers including novel ones as anti-PC and anti-MDA to identify outcomes, risk and potential mechanisms in acute medical diseases including chronic Fobstructive pulmonary disease.


  • Swedish Heart Lung foundation



Project Mizanur Rahman 

Mechanisms of immune activation and inflammation in atherosclerosis

Mechanisms of immune activation and ensuing inflammation in human atherosclerosis is essential for improving treatment and understanding of this disease condition. We study antigens in oxidized LDL with focus on epitopes generated during lipid oxidation, including MDA and PC, also heat shock proteins, and inhibitors we discovered, as anti-MDA and anti-PC and Annexin A5 are further studied. Novel factors include statins and PCSK9-inhibition.


  • The Swedish Heart and Lung Foundation
  • The Swedish Rheumatic Foundation
  • Gustav V 80 year fund
  • EU (IMI)


Profile image

Mizanur Rahman

Affiliated to Research


Projects Marta Alarcón

Genetic mechanisms and gene-environment interaction

Large international studies in SLE and other rheumatic cohorts are studied, also SLEVIC is included. Objectives include to identify underlying mechanisms of these diseases, where SLE is an important focus, and to contribute to reclassification of Rheumatic diseases.


  • Swedish Science fund
  • The Swedish Rheumatic Foundation
  • Gustav V 80 year fund
  • EU (IMI)


Marta Alarcón

Principal Researcher


All publications from group members

Staff and contact

Head of Unit

All members of the group

Visiting address

Institutet för miljömedicin / Institute of Environmental Medicine at Karolinska Institutet, Nobels väg 13, Stockholm, 17177, Sweden

Postal address

- - -
PPb | PBE | optimized geometry

a = 5.800 Å, b = 6.061 Å, c = 12.752 Å
α = 90.00°, β = 113.08°, γ = 90.00°
Atoms (fractional coordinates):
P1 0.176 0.152 0.421
P2 0.176 0.348 0.921
P3 0.316 0.157 0.079
P4 0.316 0.343 0.579
P5 0.684 0.657 0.421
P6 0.684 0.843 0.921
P7 0.824 0.652 0.079
P8 0.824 0.848 0.579
Pb1 0.140 0.631 0.365
Pb2 0.140 0.869 0.865
Pb3 0.371 0.638 0.135
Pb4 0.371 0.862 0.635
Pb5 0.629 0.138 0.365
Pb6 0.629 0.362 0.865
Pb7 0.860 0.131 0.135
Pb8 0.860 0.369 0.635

Calculated total energy = -4.422 eV/atom
- - -

Institutet för miljömedicin / Institute of Environmental Medicine, Box 210, Stockholm, 17177, Sweden